Date: Sat, 22 Nov 1997 21:33:57 -0500
From: "Barry A. Popik" Bapopik[AT SYMBOL GOES HERE]AOL.COM
Subject: "Black Fridays" of Finance
"When Black Friday comes
I'll stand down by the door
And catch the grey men
When they dive from the fourteenth floor."
--Steely Dan, "Black Friday"
I'm getting tired of these corrections. They never even get printed.
This is from William Safire's "On Language" column, New York Times
Magazine, 23 November 1997:
Oct. 19, 1987, was called _Black Monday_ on the analogy of _Black
Thursday_ of Oct. 24, 1929, and _Black Tuesday_ of Oct. 29, 1929. These were
antedated by _Black Friday_ of Sept. 24, 1869, when Jay Gould drove brokers
into bankruptcy with his attempted corner of the gold market.
"Black Friday" was a financial phrase long before 1869, but at least
Safire got the 1929 dates correct. THE TIMETABLES OF HISTORY by Bernard Grun
Attached: records of molecules
<<<
This record from OMol25 describes a molecular structure, C19H28BHgN8O3 at a distorted geometry. The level of theory is ωB97M-V/def2-TZVPD.

Cartesian coordinates (Å):
1 Hg -0.23 0.68 1.31
2 N 1.74 2.59 -0.07
3 C 2.28 3.13 1.18
4 C 1.17 3.52 2.16
5 O 1.22 4.66 2.67
6 N 0.23 2.61 2.38
7 C -0.84 3.04 3.26
8 C -1.80 1.93 3.72
9 O -2.55 2.20 4.67
10 O -1.79 0.83 3.08
11 H 2.44 2.13 -0.63
12 H 1.31 3.32 -0.62
13 H 2.90 4.03 1.03
14 H 2.91 2.36 1.64
15 H -1.46 3.79 2.74
16 H -0.45 3.53 4.15
17 C -1.58 -2.51 2.97
18 C -1.34 -2.59 1.49
19 C -1.57 -3.65 0.61
20 C -1.15 -3.20 -0.63
21 C -1.17 -3.91 -1.94
22 N -0.69 -1.95 -0.47
23 N -0.81 -1.57 0.83
24 B 0.03 -1.05 -1.49
25 N 1.46 -0.76 -0.94
26 N 1.65 -0.49 0.37
27 C 2.93 -0.69 0.64
28 C 3.46 -0.48 2.02
29 C 3.59 -1.11 -0.52
30 C 2.62 -1.16 -1.50
31 C 2.76 -1.53 -2.94
32 N -0.82 0.25 -1.72
33 N -1.34 0.93 -0.66
34 C -2.43 1.55 -1.06
35 C -3.24 2.38 -0.12
36 C -2.63 1.31 -2.42
37 C -1.60 0.47 -2.80
38 C -1.29 -0.05 -4.17
39 H -2.41 -3.15 3.25
40 H -1.81 -1.47 3.24
41 H -0.70 -2.82 3.52
42 H -2.00 -4.61 0.84
43 H -1.65 -4.88 -1.82
44 H -0.16 -4.07 -2.33
45 H -1.72 -3.34 -2.69
46 H 0.13 -1.62 -2.54
47 H 2.66 -0.06 2.64
48 H 4.31 0.21 2.02
49 H 3.79 -1.41 2.47
50 H 4.64 -1.35 -0.64
51 H 3.82 -1.63 -3.20
52 H 2.30 -0.79 -3.59
53 H 2.28 -2.49 -3.15
54 H -3.11 2.02 0.91
55 H -4.30 2.33 -0.38
56 H -2.93 3.43 -0.15
57 H -3.42 1.68 -3.04
58 H -1.99 0.40 -4.88
59 H -1.38 -1.13 -4.23
60 H -0.28 0.21 -4.46

2S+1 = 2
E_LUMO (alpha / beta) = 0.175 / 0.175 Ha
total charge = -2
energy = -43074.631 eV
HOMO energy (alpha / beta) = 2.464 / -3.110 eV
orbital gap (alpha / beta) = 2.285 / 7.868 eV

This record from OMol25 describes a molecular structure, C11H18ClN3 at a distorted geometry. The level of theory is ωB97M-V/def2-TZVPD.

Cartesian coordinates (Å):
1 C -0.74 2.39 -1.93
2 C 0.57 2.67 -1.52
3 C -1.33 1.18 -1.49
4 C 1.32 1.91 -0.65
5 C -0.61 0.48 -0.56
6 C 0.87 -0.23 0.61
7 C -2.90 0.19 1.08
8 C -0.48 -3.22 0.33
9 C 4.04 0.49 -0.76
10 C -1.55 -0.56 1.49
11 C -0.77 -1.93 -0.53
12 N 0.68 0.80 -0.21
13 N 1.35 -0.13 1.84
14 N -0.66 -0.66 0.24
15 Cl 4.67 2.00 -0.99
16 H -1.33 3.06 -2.63
17 H 1.03 3.64 -1.82
18 H -2.38 0.90 -1.81
19 H 2.35 2.14 -0.29
20 H -3.39 0.19 2.03
21 H -2.76 1.24 0.82
22 H -3.43 -0.40 0.41
23 H -0.89 -3.30 1.26
24 H -0.85 -4.14 -0.26
25 H 0.62 -3.14 0.46
26 H 3.36 0.00 -1.50
27 H 4.52 -0.07 0.07
28 H -1.73 -1.62 1.64
29 H -1.14 0.03 2.23
30 H -1.88 -1.82 -0.76
31 H -0.07 -2.02 -1.32
32 H 1.79 0.79 2.14
33 H 1.74 -0.85 2.41

E_LUMO (alpha / beta) = -0.297 / -0.347 Ha
total charge = +2
energy = -28669.146 eV
HOMO energy (alpha / beta) = -16.316 / -14.426 eV
energy above the lowest of the compared OMol25 structures with the same formula, charge and spin = 0.8 kcal per mole
orbital gap (alpha / beta) = 8.238 / 4.974 eV

This record from OMol25 describes 2 unconnected molecules or ions with the total composition C3H6IN3 at a distorted geometry. The level of theory is ωB97M-V/def2-TZVPD.
>>>
Back to the page
has "'Black Friday' in New York; U. S. Stock Exchange collapses on Oct. 28."
October 28th was a Monday. Christine Ammer's SEEING RED OR TICKLED PINK
has, on pages 32-33, "...October 29, 1929, which was dubbed _Black Friday_
and is often considered to mark the start of the Great Depression." October
29th was a Tuesday.
This is from the Milwaukee Sentinel, 21 December 1916, pg. 6, cols. 5-6:
Several of the great financial panics of the past have commenced on a
Friday, and this has given rise to one of the pet superstitions of the stock
exchanges and bourses of the world--that the sixth day of the week is fraught
with ill omen for those engaged in financial operations.
The original "Black Friday" occurred 171 years ago, Dec. 6, 1745, in
London. On that date tidings reached the metropolis that the pretender,
Boonie Prince Charlie, had reached Derby with his forces. Londoners
immediately made preparations to fly from the city, and a panic prevailed.
It was on that occasion that the Bank of England had its closest call in its
long history. The citizens were anxious to take their money with them, and
the Bank of England was besieged by an army of depositors. The bank escaped
bankruptcy only by the expedient of placing "dummies" in the line to impede
genuine depositors, and by paying bona fide depositors in small coins, thus
consuming much time.
The first "Black Friday" of latter day financial history was in 1866,
just a half century ago, and was due to the failure of one of London's
largest banking houses. Three years later Wall street had a "Black Friday,"
due to an attempt to engineer a corner in gold. The worst of all financial
"Black Fridays" was that of 1873, when, on Friday, Sept. 18, it seemed that
the whole financial structure of the new world had crumbled into ruins.--New
York World.
While Ammer was mistaken about 1929's "Black Friday," she nonetheless
has a more interesting discussion than Safire's column about "Blue Monday."
George Gershwin wrote a poorly received one-act opera called _Blue Monday_
(1922). It had only a single performance. Two years later, Gershwin did
his best-known work, _Rhapsody in Blue_.